Great Expectations Review
Having never been a big fan of the classics, I didn’t have particularly great expectations of this new adaptation of the classic Charlie dickens novel, ah, Great Expectations.
Which worked out surprisingly well for me.
Pip is a kind hearted, curly haired boy adrift in the class riddled society of 18th century England, where the greatest ambition a prole can have is to dream of having the means to become a gentleman.
Whatever that meant back in the day.
So when he happens upon a villainous and dirty looking fellow in chains and matching beard, Pip goes out of his way to get him some food.
Either that or the prisony looking bloke threatened to kill him while the young boy was visiting his dead mother’s grave.
Like I said, this dude’s a villain; which I suppose makes our orphan the hero.
Anyway, our orphan hero is lucky enough to be picked up by the most privileged woman in the land, Miss Havisham, to come and play with her adopted daughter Estella.
Being a prole, the mere idea of getting to play in a mansion is like the most exciting ever, so our Pip does as he’s told and goes toddling off like a good little boy.
Once there, Pip soon realises his place in Miss Havisham’s life is purely for her own entertainment, but he likes Estella so much that he doesn’t mind putting up with all the baggage that comes with being Little Miss ‘avisham’s puppet if it means he gets to spend time with her.
Inevitably, it’s not long before the good lady of the house tires of Pip’s company and sends him packing like so many before him with a handful of guineas’ for his troubles.
Many moons pass and the little boy formerly known as Pip is now a handsome young man known as, ah, Pip; and he’s in training to be a blacksmith like his adoptive father Joe.
Til one day a mysterious lawyer known as Mr Jaggers comes a knocking with the offer of a lifetime for Pip.
Great Expectations starts out exactly as I thought it would, cold, dark and dank 18th centuryish England with a bleak outlook on life.
**Unrelated to this entry: data records:**
........
Record 1
........
Yet once young Pip grows up, and we follow his adult adventures around London town, I found myself completely immersed in the world of that director Mike Newell has created.
There are a couple of reasons for this, first off the ensemble cast are rather good; from the two young leads Jeremy Irvine and Holliday Grainger who play Pip and Estella respectively, to the tried and tested excellence of Ralph Fiennes and Helena Bonham Carter as supporting heavyweights Magwitch and Miss Havisham and everyone in between.
But mostly, it’s because Dickens was such a jolly good writer.
Who knew?
The enduring themes of love and rising above your own station in life are still relatable today, and the twists that come during the final act are better disguised than most every other hollywood screenwriter I’ve known.
Of course, being brand new to Dickens also puts me in a minority and I’ve heard many a tale of other adaptations that are superior to Newell’s production.
Still, if Great Expectations is as new to you as it was to me, then you won’t be disappointed.
Jonathan Campbell